With two group shows less than a week apart, another in the next month, and a solo show only 7 months away, a lot of pe0ple think I’m really busy. Or uber-busy. It seems normal to me, though, especially if I want to maintain a career as an artist. So this has me thinking that this must not be the norm, which is unfortunate because I like to think that artists are all showing their work somewhere other than their basement. So I have to ask- are you doing all that you can to promote your work? Or do you not know where to start? For those that are beginners, I thought I’d take this opportunity to discuss how to exhibit your art. And maybe even those of you who are not new to this will pick up some ideas.
First, I like to ignore all the “rules” regarding getting into galleries. So many people say you should start small and local. Yes, there is some truth to this, but don’t sell yourself short. Some of my very first exhibitions were out of my city and out of my state, so there goes that rule. Secondly, there are a lot of people that say you shouldn’t even approach a gallery, that you should just let them call you. What?? If I want something, I don’t just sit on my couch and will it to me. I go out and get it. Now, don’t get me wrong, that doesn’t mean you can just march into a gallery and dump your portfolio in their lap. You should send them your work in a professional manner- read my steps for doing this in a previous post.
Record 1
Density functional theory data (GGA+U) for a relaxed KV5CoH16O22 crystal.

abc: 8.885 10.809 11.208
angles: 65.99 75.40 71.05
Fractional coordinates of all 90 atoms:
H 0.392 0.129 0.041
H 0.325 0.101 0.442
H 0.126 0.403 0.963
H 0.675 0.899 0.558
H 0.423 0.446 0.123
H 0.577 0.554 0.877
H 0.053 0.832 0.365
H 0.961 0.841 0.576
H 0.436 0.399 0.001
H 0.947 0.937 0.656
H 0.608 0.871 0.959
H 0.916 0.757 0.419
H 0.039 0.159 0.424
H 0.952 0.892 0.838
H 0.648 0.989 0.817
H 0.984 0.487 0.249
H 0.053 0.063 0.344
H 0.352 0.011 0.183
H 0.393 0.237 0.399
H 0.067 0.985 0.118
H 0.947 0.168 0.635
H 0.607 0.763 0.601
H 0.864 0.496 0.712
H 0.874 0.597 0.037
H 0.084 0.243 0.581
H 0.028 0.292 0.043
H 0.933 0.015 0.882
H 0.136 0.504 0.288
H 0.564 0.601 0.999
H 0.016 0.513 0.751
H 0.048 0.108 0.162
H 0.972 0.708 0.957
O 0.218 0.435 0.796
O 0.263 0.676 0.790
O 0.829 0.823 0.162
O 0.921 0.647 0.946
O 0.743 0.192 0.922
O 0.364 0.176 0.366
O 0.737 0.324 0.210
O 0.782 0.565 0.204
O 0.171 0.177 0.838
O 0.237 0.594 0.334
O 0.293 0.906 0.512
O 0.095 0.440 0.269
O 0.485 0.404 0.619
O 0.943 0.841 0.411
O 0.009 0.931 0.872
O 0.207 0.387 0.586
O 0.642 0.891 0.862
O 0.707 0.094 0.488
O 0.079 0.353 0.054
O 0.739 0.362 0.446
O 0.478 0.353 0.410
O 0.439 0.158 0.655
O 0.561 0.842 0.345
O 0.905 0.560 0.731
O 0.456 0.200 0.869
O 0.261 0.638 0.554
O 0.057 0.156 0.334
O 0.522 0.647 0.590
O 0.596 0.626 0.902
O 0.358 0.109 0.138
O 0.404 0.374 0.098
O 0.057 0.159 0.589
O 0.279 0.837 0.304
O 0.793 0.613 0.414
O 0.544 0.800 0.131
O 0.515 0.596 0.381
O 0.721 0.163 0.696
O 0.506 0.441 0.838
O 0.991 0.069 0.128
O 0.636 0.824 0.634
O 0.257 0.808 0.078
O 0.943 0.844 0.666
O 0.494 0.559 0.162
O 0.763 0.406 0.666
V 0.327 0.496 0.478
V 0.384 0.784 0.449
V 0.634 0.275 0.803
V 0.697 0.734 0.246
V 0.616 0.216 0.551
V 0.366 0.725 0.197
V 0.303 0.266 0.754
V 0.649 0.444 0.274
V 0.351 0.556 0.726
V 0.673 0.504 0.522
K 0.680 0.084 0.220
K 0.320 0.916 0.780
Co 0.775 0.728 0.793
Co 0.225 0.272 0.207

## Properties
**Magnetization**: 2.00 μB per cell
**E (MP2020)**: -6.500 eV per atom
**ΔE_f**: -1.68 eV per atom
**Symmetry**: No. 2
**Calculated volume**: 921.0 Å³/cell

***

Record 2
Density functional theory data (GGA+U) for a relaxed MgFe4Te2O12 crystal.

abc: 4.812 4.805 9.217
angles: 90.01 90.00 89.97
Fractional coordinates of all 19 atoms:
O 0.685 0.692 0.653
O 0.810 0.185 0.846
O 0.294 0.290 0.009
O 0.311 0.312 0.329
O 0.193 0.805 0.168
O 0.315 0.308 0.653
O 0.190 0.815 0.846
O 0.211 0.792 0.491
O 0.788 0.208 0.491
O 0.706 0.710 0.009
O 0.808 0.195 0.168
O 0.689 0.688 0.329
Te 0.500 0.500 0.489
Te 0.000 0.000 0.011
Mg 0.500 0.000 0.751
Fe 0.500 0.500 0.166
Fe 0.000 0.000 0.336
Fe 0.000 0.000 0.655
Fe 0.500 0.500 0.847

## Properties
**Magnetization**: 1.99 μB per cell
**E (MP2020)**: -6.974 eV per atom
**ΔE_f**: -1.65 eV per atom
**Symmetry**: No. 3
**Calculated volume**: 213.1 Å³/cell

***

Record 3
Density functional theory data (GGA+U) for a relaxed Mg3Fe2Si3O12 crystal.
Galleries like to know that you are going to be reliable and not flake out if they book a show with you for several months/years in advance, hence the need for a good resume. So you’ll need to build your exhibition history. But how do you get an exhibit if you have never exhibited before? I know- it’s like which came first, the chicken or the egg. This is where starting small and local comes in since you’re more likely to get into a gallery that knows you personally through local events, plus if they are not solely looking for established artists, you’ll have a better chance. That said, don’t limit yourself, either. There’s no harm in trying to get shows elsewhere- especially group exhibitions since galleries know that if you drop out, it won’t be so hard to replace you or make up for it.
In addition to galleries, there are other ways to exhibit your work. I’d recommend this whether you need to build your exhibition history or even if you’ve done hundreds of shows. You can never reach enough people.
University galleries and museums– great to have on your resume, but won’t result in sales necessarily because the general public doesn’t think to go there to buy art. That’s just the perception they have. However, these venues are very prestigious and build your credibility among collectors and galleries. You will need a few shows under your belt to score one of these, but just to say, this is something you should be aiming for.
Local museums– more likely to show your work these days due to the economic crisis. Their funding has been limited since the government loves to cut arts funding first, so they can’t afford to ship work and give stipends to national/international artists. So get to know your local museum and send them a proposal.
Juried exhibitions– Now there is a lot of debate over these types of shows since some think they lead to nothing, while others think you should never pass an opportunity to exhibit. If you are completely new to exhibiting your work, I say go with the latter. When you’re starting out, you won’t discriminate so much- there’s plenty of time to do that later once you’ve been showing a lot. If you’ve built a bit of an exhibition history, that’s a different story. Personally, I will do juried exhibits, but that’s only if I feel they are worthwhile. I decide based on:
Where the show is being held– is it a good venue or is it some cube in the middle of nowhere?
Who is the juror– someone prestigious in the art world or just somebody’s grandma that took a watercolor class once?
Is the venue insured? Nevermind whether your own work is insured, if the venue itself can’t afford insurance, then it’s probably not a good one (sorry).
What comes next are crystal structures, not part of the entry =
+++
(1)
Entry from the Materials Project: MoPO5 after structural relaxation (GGA+U).

Lattice parameters (Å, degrees): 6.283 6.283 4.631 90.00 90.00 90.00
Fractional positions:
O 0.808 0.946 0.694
O 0.692 0.554 0.306
O 0.000 0.500 0.841
O 0.946 0.192 0.306
O 0.192 0.054 0.694
O 0.554 0.308 0.694
O 0.446 0.692 0.694
O 0.054 0.808 0.306
O 0.500 0.000 0.159
O 0.308 0.446 0.306
P 0.500 0.500 0.500
P 0.000 0.000 0.500
Mo 0.500 0.000 0.791
Mo 0.000 0.500 0.209

## Properties
- space group = P4/n
- polymorph energy (0 for the lowest one) (eV per formula unit) = 0.091

---

(2)
Entry from the Materials Project: YWO3 after structural relaxation (GGA+U).

Lattice parameters (Å, degrees): 4.103 4.103 4.103 90.00 90.00 90.00
Fractional positions:
O 0.000 0.500 0.500
O 0.500 0.500 0.000
O 0.500 0.000 0.500
Y 0.000 0.000 0.000
W 0.500 0.500 0.500

## Properties
- space group = Pm-3m
- total magnetization (μB per formula unit) = 2.98

---

(3)
Entry from the Materials Project: Na3CrMo6O32 after structural relaxation (GGA+U).

Lattice parameters (Å, degrees): 6.931 11.055 11.167 115.83 84.95 108.06
Fractional positions:
Mo 0.981 0.922 0.276
Mo 0.195 0.818 0.722
Mo 0.805 0.182 0.278
Mo 0.192 0.741 0.985
Mo 0.019 0.078 0.724
Mo 0.808 0.259 0.015
Na 0.200 0.557 0.416
Na 0.500 0.000 0.500
Na 0.800 0.443 0.584
O 0.010 0.120 0.333
O 0.027 0.245 0.888
O 0.392 0.743 0.066
O 0.065 0.180 0.109
O 0.244 0.136 0.657
O 0.148 0.631 0.258
O 0.756 0.864 0.343
O 0.170 0.954 0.097
O 0.440 0.448 0.216
O 0.852 0.369 0.742
O 0.990 0.880 0.667
O 0.923 0.436 0.125
O 0.177 0.933 0.371
O 0.332 0.811 0.858
O 0.811 0.977 0.136
O 0.432 0.450 0.502
O 0.823 0.067 0.629
O 0.830 0.046 0.903
O 0.390 0.853 0.621
O 0.067 0.637 0.628
O 0.077 0.564 0.875
O 0.610 0.147 0.379
O 0.483 0.485 0.849
O 0.560 0.552 0.784
O 0.568 0.550 0.498
O 0.973 0.755 0.112
O 0.935 0.820 0.891
O 0.608 0.257 0.934
O 0.668 0.189 0.142
O 0.933 0.363 0.372
O 0.517 0.515 0.151
O 0.189 0.023 0.864
Cr 0.000 0.000 0.000

## Properties
- space group = P-1
- total magnetization (μB per formula unit) = 10.99

---

(4)
Entry from the Materials Project: Li2Ni3SbO8 after structural relaxation (GGA+U).

Lattice parameters (Å, degrees): 5.813 5.813 9.513 90.00 90.00 120.00
Fractional positions:
O 0.183 0.856 0.593
O 0.333 0.667 0.119
O 0.817 0.673 0.093
O 0.667 0.333 0.619
O 0.000 0.000 0.299
O 0.457 0.489 0.345
O 0.543 0.032 0.845
O 0.511 0.968 0.345
O 0.032 0.543 0.345
O 0.489 0.457 0.845
O 0.673 0.817 0.593
O 0.000 0.000 0.799
O 0.856 0.183 0.093
O 0.327 0.144 0.093
O 0.968 0.511 0.845
O 0.144 0.327 0.593
Li 0.000 0.000 0.491
Li 0.333 0.667 0.902
Li 0.667 0.333 0.402
Li 0.000 0.000 0.991
Ni 0.826 0.661 0.714
Ni 0.835 0.174 0.714
Ni 0.174 0.835 0.214
Ni 0.165 0.339 0.214
Ni 0.661 0.826 0.214
Ni 0.339 0.165 0.714
Sb 0.667 0.333 0.986
Sb 0.333 0.667 0.486

## Properties
- space group = P31c
- polymorph energy (0 for the lowest one) (eV per formula unit) = 0.193
- total magnetization (μB per formula unit) = 3.00

---

(5)
+++
So much for the crystal structures =
What city/state/country is the venue located– again, don’t go with someplace not typically known for art.
Is it a vanity gallery? There are a few of those out there holding juried shows- make sure the gallery has a good reputation.
Lastly, look into exhibition opportunities that are off the beaten path.
-- Next to the article, the page also holds crystal structures --
~~~
Record 1
DFT (PBE) results for Li6Ge2O7 after structural relaxation.

Results
Magnetic moment   0.00 μB per cell
ρ   3.142 g/cm3
MP2020-corrected energy   -359.6 eV for the cell shown
Formation energy   -2.304 eV per atom
Final energy   -5.673 eV/atom

Cell lengths 8.1824, 5.3712, 16.1848 Å; angles 90.00, 117.33, 90.00 degrees
Sites, in units of the cell vectors:
Li1 0.0086 0.1941 0.4571
Li2 0.0086 0.3059 0.9571
Li3 0.1268 0.6681 0.2566
Li4 0.1268 0.8319 0.7566
Li5 0.1785 0.0133 0.3790
Li6 0.1785 0.4867 0.8790
Li7 0.2608 0.6470 0.4844
Li8 0.2608 0.8530 0.9844
Li9 0.3463 0.1298 0.8843
Li10 0.3463 0.3702 0.3843
Li11 0.3995 0.7189 0.1949
Li12 0.3995 0.7811 0.6949
Li13 0.6005 0.2189 0.3051
Li14 0.6005 0.2811 0.8051
Li15 0.6537 0.6298 0.6157
Li16 0.6537 0.8702 0.1157
Li17 0.7392 0.1470 0.0156
Li18 0.7392 0.3530 0.5156
Li19 0.8215 0.5133 0.1210
Li20 0.8215 0.9867 0.6210
Li21 0.8732 0.1681 0.2434
Li22 0.8732 0.3319 0.7434
Li23 0.9914 0.6941 0.0429
Li24 0.9914 0.8059 0.5429
Ge1 0.1559 0.1724 0.1693
Ge2 0.1559 0.3276 0.6693
Ge3 0.4394 0.1492 0.5869
Ge4 0.4394 0.3508 0.0869
Ge5 0.5606 0.6492 0.9131
Ge6 0.5606 0.8508 0.4131
Ge7 0.8441 0.6724 0.3307
Ge8 0.8441 0.8276 0.8307
O1 0.0201 0.6762 0.9284
O2 0.0201 0.8238 0.4284
O3 0.1295 0.2279 0.7672
O4 0.1295 0.2721 0.2672
O5 0.1597 0.6525 0.6599
O6 0.1597 0.8475 0.1599
O7 0.2679 0.2218 0.9827
O8 0.2679 0.2782 0.4827
O9 0.3380 0.7300 0.3802
O10 0.3380 0.7700 0.8802
O11 0.3820 0.2120 0.6843
O12 0.3820 0.2880 0.1843
O13 0.4424 0.6770 0.0891
O14 0.4424 0.8230 0.5891
O15 0.5576 0.1770 0.4109
O16 0.5576 0.3230 0.9109
O17 0.6180 0.7120 0.8157
O18 0.6180 0.7880 0.3157
O19 0.6620 0.2300 0.1198
O20 0.6620 0.2700 0.6198
O21 0.7321 0.7218 0.5173
O22 0.7321 0.7782 0.0173
O23 0.8403 0.1525 0.8401
O24 0.8403 0.3475 0.3401
O25 0.8705 0.7279 0.7328
O26 0.8705 0.7721 0.2328
O27 0.9799 0.1762 0.5716
O28 0.9799 0.3238 0.0716

=====

Record 2
DFT (PBE) results for Li4Ge5O12 after structural relaxation.

Results
ρ   4.430 g/cm3
MP2020-corrected energy   -273.6 eV for the cell shown
Formation energy   -2.224 eV per atom
Final energy   -6.123 eV/atom

Cell lengths 5.2055, 9.3054, 9.7505 Å; angles 73.00, 77.75, 78.89 degrees
Sites, in units of the cell vectors:
Li1 0.1386 0.4069 0.4053
Li2 0.2730 0.9065 0.0229
Li3 0.3120 0.7682 0.5560
Li4 0.3488 0.5763 0.1123
Li5 0.6512 0.4237 0.8877
Li6 0.6879 0.2318 0.4440
Li7 0.7270 0.0935 0.9771
Li8 0.8614 0.5931 0.5947
Ge1 0.1173 0.5943 0.8515
Ge2 0.1885 0.2551 0.9349
Ge3 0.1930 0.0997 0.6829
Ge4 0.2598 0.0964 0.2675
Ge5 0.4084 0.4213 0.6453
Ge6 0.5916 0.5787 0.3547
Ge7 0.7402 0.9036 0.7325
Ge8 0.8070 0.9003 0.3171
Ge9 0.8115 0.7449 0.0651
Ge10 0.8827 0.4057 0.1485
O1 0.0497 0.2593 0.3020
O2 0.0507 0.4325 0.7752
O3 0.0914 0.9357 0.3714
O4 0.1027 0.1012 0.8671
O5 0.1486 0.7316 0.9512
O6 0.2332 0.4227 0.0133
O7 0.2670 0.5670 0.4838
O8 0.3191 0.2631 0.5686
O9 0.3458 0.0997 0.0819
O10 0.4394 0.9379 0.6606
O11 0.4433 0.5803 0.7299
O12 0.4884 0.7283 0.1887
O13 0.5116 0.2717 0.8113
~~~
Pop-up galleries are the latest “it” spaces and do not require representation, so you are more likely to get into one. Also, if you are just starting out, look into showing at coffee shops, bookstores, libraries, bank lobbies, doctors’ offices, law firms, gift shops, restaurants, etc. Although food and smoke near your work is a scary concept, so just consider that risk, but look into making your own exhibits through these venues. Not all will lead to sales, which is why many don’t bother, but it will build your name in the community, build your exhibition history (until you can gain more via galleries, etc.), and it can lead to future sales since people will see your work and talk about it with others well after your show. Each step builds upon the other. It all takes time- Rome wasn’t built in a day.
I’m sure I’m forgetting some things, so if you have ideas for opportunities to share, please feel free to add them in the comments section.